### Work order
Now duplicate the part of the lines further down that starts with the line with "0.42 2.56" and stops after the one with "5.27 -0.0222".
### Contents
┌──
Record 1
ORCA calculation (ωB97M-V with the def2-TZVPD basis set) on a 15-piece molecular cluster, C91H203N9O19 overall.

Output
Charge: 0
F_max: 0.0651 Eh/bohr
HOMO energy: -0.2839 hartree
Molar mass: 1727.67 g/mol
HOMO-LUMO gap: 0.296 Ha

Geometry as XYZ:
```
322
Properties=species:S:1:pos:R:3:lowdin_charge:R:1
C 1.78 3.72 4.22 -0.2233
C 2.99 2.78 4.08 -0.2386
O 3.17 2.40 2.76 -0.0722
O 0.58 2.98 4.23 -0.0771
H 1.78 4.49 3.44 0.1062
H 1.82 4.23 5.18 0.0990
H 2.76 1.87 4.65 0.1216
H 3.87 3.28 4.47 0.1237
H 2.39 2.06 2.32 0.0560
H 0.01 3.42 4.86 0.0365
C 2.35 6.54 -0.27 -0.2175
C 1.27 5.95 0.61 -0.2461
O 0.82 6.88 1.51 -0.0562
O 3.60 6.60 0.43 -0.0624
H 2.15 7.55 -0.63 0.1269
H 2.52 5.87 -1.11 0.0996
H 1.61 5.02 1.06 0.1050
H 0.41 5.72 -0.02 0.1160
H 1.51 6.99 2.18 0.1162
H 3.87 5.70 0.63 0.0818
C 6.37 0.69 2.40 -0.2272
C 6.17 -0.58 3.26 -0.2252
O 7.37 -1.32 3.48 -0.0677
O 6.71 0.48 1.03 -0.0455
H 7.00 1.37 2.97 0.1184
H 5.46 1.29 2.52 0.0933
H 5.36 -1.21 2.91 0.0975
H 5.94 -0.10 4.22 0.1128
H 7.31 -2.16 3.93 0.0799
H 7.11 1.34 0.86 0.0895
C 5.56 -2.40 -0.34 -0.2430
C 7.01 -2.91 -0.02 -0.2134
O 6.95 -3.63 1.23 -0.0816
O 5.55 -1.37 -1.30 -0.0666
H 5.13 -2.12 0.62 0.0957
H 5.03 -3.23 -0.79 0.1169
H 7.61 -2.02 0.16 0.1029
H 7.47 -3.42 -0.86 0.1123
H 7.74 -3.46 1.75 0.0720
H 5.99 -0.60 -0.91 0.0586
C 2.10 -5.60 0.03 -0.1623
O 2.27 -4.93 -1.18 -0.1162
H 2.23 -6.63 -0.29 0.0811
H 2.82 -5.42 0.83 0.0757
H 1.06 -5.45 0.31 0.0531
H 1.44 -4.47 -1.33 0.0167
C -0.77 -3.01 5.19 -0.1229
O -0.57 -3.80 4.00 -0.1535
H -1.75 -2.53 5.23 0.0798
H -0.57 -3.53 6.13 0.0694
H -0.06 -2.18 5.16 0.0598
H -1.44 -4.15 3.79 0.0106
C -4.20 -7.01 4.86 -0.0456
C -3.26 -7.15 3.65 -0.4708
C -3.71 -8.51 2.96 -0.1159
C -3.21 -8.72 1.48 -0.1589
C -3.53 -7.43 0.68 -0.1114
C -3.01 -6.12 1.36 -0.4797
N -3.53 -6.03 2.71 -0.1066
O -3.36 -4.76 3.29 -0.0167
C -1.47 -5.87 1.18 -0.0193
C -3.67 -5.00 0.54 -0.0479
C -1.80 -7.26 4.10 -0.0272
H -5.23 -6.77 4.59 0.0835
H -3.89 -6.26 5.59 0.0789
H -4.25 -7.96 5.39 0.0832
H -3.42 -9.38 3.55 0.1128
H -4.80 -8.46 2.97 0.1067
H -3.79 -9.57 1.12 0.0982
H -2.19 -9.09 1.45 0.1003
H -4.62 -7.36 0.57 0.1153
H -2.98 -7.48 -0.26 0.1177
H -1.20 -5.06 1.87 0.0634
H -0.81 -6.72 1.39 0.0713
H -1.14 -5.48 0.22 0.0632
H -4.73 -5.16 0.40 0.0860
H -3.45 -4.02 0.97 0.0837
H -3.25 -4.96 -0.46 0.0658
H -1.36 -6.30 4.39 0.0661
H -1.08 -7.57 3.34 0.0690
H -1.59 -7.87 4.97 0.0864
H -4.25 -4.62 3.63 0.1132
C 0.71 6.41 -5.76 -0.0337
C 0.73 5.11 -4.92 -0.4613
C -0.57 5.11 -4.09 -0.1522
C -0.94 3.79 -3.43 -0.1532
C -0.90 2.57 -4.46 -0.0995
C 0.42 2.56 -5.22 -0.4684
N 0.85 3.86 -5.73 -0.1148
O 1.91 3.74 -6.65 -0.0034
C 1.54 1.98 -4.33 -0.0238
C 0.21 1.62 -6.48 -0.0167
C 1.94 5.26 -3.91 -0.0279
H 1.47 6.40 -6.54 0.0747
H 0.94 7.26 -5.12 0.0846
H -0.24 6.46 -6.29 0.0810
H -0.53 5.96 -3.41 0.1139
H -1.35 5.37 -4.80 0.1102
H -1.90 3.90 -2.93 0.0896
H -0.24 3.63 -2.61 0.0841
H -1.72 2.76 -5.16 0.1099
H -1.14 1.66 -3.91 0.0993
H 1.59 2.41 -3.33 0.0518
H 1.27 0.95 -4.12 0.0589
H 2.54 1.90 -4.77 0.0898
H 1.13 1.28 -6.94 0.0695
H -0.32 0.71 -6.21 0.0595
H -0.42 2.07 -7.25 0.0824
H 2.84 5.35 -4.51 0.0831
H 2.01 4.44 -3.19 0.0560
H 1.84 6.18 -3.34 0.0595
H 1.57 4.13 -7.46 0.1018
C 6.78 -7.62 6.15 -0.0288
C 5.31 -7.18 5.96 -0.4953
C 4.68 -7.23 7.33 -0.1564
C 3.38 -6.49 7.56 -0.1895
C 3.41 -5.08 7.02 -0.1343
C 3.97 -4.94 5.56 -0.4180
N 5.19 -5.79 5.45 -0.1284
O 5.97 -5.55 4.31 -0.0085
C 2.89 -5.53 4.52 -0.0088
C 4.28 -3.43 5.27 -0.0222
C 4.60 -8.19 4.99 -0.0268
H 7.28 -7.43 5.20 0.0772
H 6.76 -8.65 6.51 0.0851
H 7.34 -6.99 6.84 0.0820
H 4.53 -8.30 7.50 0.1241
H 5.43 -6.81 7.99 0.1193
H 3.08 -6.47 8.60 0.1158
H 2.60 -7.00 7.00 0.0998
H 3.94 -4.39 7.68 0.1163
H 2.35 -4.82 6.99 0.1121
H 2.03 -4.88 4.45 0.0675
H 3.28 -5.89 3.57 0.0635
H 2.47 -6.47 4.89 0.0503
H 4.49 -3.27 4.21 0.0647
H 3.39 -2.82 5.42 0.0735
H 5.06 -3.14 5.98 0.0846
H 4.97 -9.21 5.15 0.0805
H 4.61 -7.95 3.93 0.0721
H 3.53 -8.22 5.15 0.0628
H 5.48 -6.02 3.63 0.0740
C -4.50 6.72 1.39 -0.0363
└──
### Done
C 0.42 2.56 -5.22 -0.4684
N 0.85 3.86 -5.73 -0.1148
O 1.91 3.74 -6.65 -0.0034
C 1.54 1.98 -4.33 -0.0238
C 0.21 1.62 -6.48 -0.0167
C 1.94 5.26 -3.91 -0.0279
H 1.47 6.40 -6.54 0.0747
H 0.94 7.26 -5.12 0.0846
H -0.24 6.46 -6.29 0.0810
H -0.53 5.96 -3.41 0.1139
H -1.35 5.37 -4.80 0.1102
H -1.90 3.90 -2.93 0.0896
H -0.24 3.63 -2.61 0.0841
H -1.72 2.76 -5.16 0.1099
H -1.14 1.66 -3.91 0.0993
H 1.59 2.41 -3.33 0.0518
H 1.27 0.95 -4.12 0.0589
H 2.54 1.90 -4.77 0.0898
H 1.13 1.28 -6.94 0.0695
H -0.32 0.71 -6.21 0.0595
H -0.42 2.07 -7.25 0.0824
H 2.84 5.35 -4.51 0.0831
H 2.01 4.44 -3.19 0.0560
H 1.84 6.18 -3.34 0.0595
H 1.57 4.13 -7.46 0.1018
C 6.78 -7.62 6.15 -0.0288
C 5.31 -7.18 5.96 -0.4953
C 4.68 -7.23 7.33 -0.1564
C 3.38 -6.49 7.56 -0.1895
C 3.41 -5.08 7.02 -0.1343
C 3.97 -4.94 5.56 -0.4180
N 5.19 -5.79 5.45 -0.1284
O 5.97 -5.55 4.31 -0.0085
C 2.89 -5.53 4.52 -0.0088
C 4.28 -3.43 5.27 -0.0222